Job Opportunities

Women's Ministry Assistant


FirstLight Ministries
St. Louis, MO 63132



[Attached: quantum chemistry results]
____________
ORCA calculation (ωB97M-V with the def2-TZVPD basis set) on C58H55CaF3N5OS4Sb as an isolated structure in a non-equilibrium geometry.

CARTESIAN COORDINATES (ANGSTROEM)
Sb  -3.20382  0.45528  3.14723
Ca  -1.24087  0.49426  0.75222
S  1.79412  2.24124  -0.51443
S  2.05922  -0.51009  1.05297
S  -3.56580  2.81761  0.65029
S  -0.45536  0.34850  -8.64704
F  -2.29011  -2.91744  8.33594
F  -4.49317  5.90430  5.94153
F  -9.10894  -1.42382  2.17303
O  2.06177  0.02107  -7.94905
N  -3.76160  5.41060  0.45884
N  -0.26808  1.18302  2.74532
N  -1.67211  4.67164  1.01726
N  4.62720  -0.30137  0.52800
N  4.42698  2.31247  -0.37552
C  -2.92379  4.38459  0.71622
C  4.27800  -2.97427  -0.89058
C  5.74218  0.29833  -0.18314
C  -1.55822  -2.24056  6.20835
C  -3.56087  -1.30485  7.18838
C  -0.66743  -3.39468  -0.35936
C  -0.87106  1.66716  -4.86154
C  -0.95746  -3.31794  1.00072
C  6.43813  -3.29201  0.10828
C  4.44302  3.63037  -0.99929
C  6.43848  3.98137  -4.21811
C  -7.39643  0.14657  1.80776
C  6.73623  -4.25968  -0.84141
C  6.04076  4.12308  -2.89466
C  -2.87326  -0.63123  4.97426
C  -0.86375  0.49879  -1.45486
C  -0.29879  -0.74381  -6.12801
C  5.20735  -2.64891  0.09418
C  4.57841  -3.93709  -1.84024
C  -2.14655  -2.69564  1.37524
C  1.30086  0.12210  -8.87275
C  3.28467  1.62285  -0.15129
C  -1.53194  -2.86386  -1.30455
C  3.40165  0.25952  0.46361
C  -7.84570  -1.01526  2.40538
C  -3.63129  -1.64396  -1.96484
C  1.68939  0.07843  -10.32593
C  -0.20974  2.17568  2.14520
C  -2.62993  3.21269  4.41669
C  -0.73865  0.54516  -2.66952
C  4.86721  3.52990  -2.44639
C  -4.21583  4.71761  5.35997
C  -0.54089  0.40241  -6.87130
C  -4.95179  2.62013  4.51502
C  4.86862  -1.60522  1.12955
C  -5.74281  -1.34108  3.46851
C  -3.75349  -0.54294  6.04666
C  1.35990  -4.16214  1.65575
C  -6.09864  0.56518  2.05861
C  5.71550  1.79209  0.03697
C  -5.24699  3.83225  5.12270
C  -0.82525  1.60660  -6.24342
C  -1.76712  -1.46687  5.07485
C  -5.26485  -0.16095  2.90858
C  4.49428  2.64253  -4.65804
C  -2.47058  -2.15334  7.24054
C  -2.71897  -2.23976  -0.93298
C  -2.90905  4.43086  5.01920
C  -0.10001  -3.97472  2.06530
C  4.09389  2.79105  -3.34036
C  -0.63854  0.52314  -4.09297
C  -3.64766  2.30137  4.15463
C  -7.03817  -1.77643  3.22679
C  5.80768  -4.58154  -1.81748
C  -0.34426  -0.67912  -4.74837
C  -0.73146  -5.32601  2.42736
C  -3.01501  -2.16655  0.42487
C  5.67079  3.23525  -5.09721
H  2.08022  -0.91291  -10.55668
H  3.88679  2.06231  -5.34027
H  -1.29363  -2.95171  -2.35691
H  -3.64845  -2.25392  -2.86760
H  6.64994  4.70475  -2.21209
H  -0.15475  -5.82720  3.20607
H  -1.08259  2.60559  -4.36707
H  -3.26348  -0.65339  -2.24339
H  3.96061  -1.88649  1.65849
H  -7.41863  -2.68989  3.66296
H  1.77879  -3.22500  1.29166
H  -0.75930  -5.96931  1.54652
H  -3.95891  -1.73456  0.74598
H  -0.06945  -1.67659  -6.62473
H  -8.05368  0.70568  1.15589
H  -5.73401  1.47263  1.59109
H  -0.12192  -3.33740  2.95613
H  7.35384  4.45085  -4.55442
H  0.83965  0.29605  -10.96866
____________

Posted: Aug 22, 2024

Application Deadline: Sep 30, 2024


FirstLight Ministries is a Christian non-profit that supports people in living within the Bible’s standards on sexuality. The ministry provides group support for men and women seeking to stop their pornography use or other sexual behaviors, and groups supporting spouses healing from betrayal. FirstLight also provides clinical counseling services. FirstLight serves the wider St. Louis region and operates within a traditional, Christian understanding of sexual ethics.


FirstLight is currently seeking to add to its team of professional therapists and ministry leaders a woman who will spearhead a ministry aimed at helping Christian women who are seeking to stop using pornography or other compulsive sexual behaviors.


The position is part-time, but has the potential to develop into a full-time role. 

Salary: Hourly


Interested Candidates Must Meet the Following Criteria:

·       A Christian woman who is a member of an evangelical church and who can affirm FirstLight’s statement of faith and statement on sexual ethics.

·       She will be a self-starter, compassionate, gracious, and approachable.

·       She will feel confident in her ability to teach the Biblical material regarding sexuality in church settings, especially with women, but also in mixed company.

·       She can listen well and maintain a nonjudgmental posture to women who share about their sexuality.

·       She will be self-motivated to educate herself about issues regarding female sexuality, especially female sex addiction.

·       She will be open about her own sexuality and efforts to maintain the Bible’s ideal. If she has a history of sex addiction herself, she will be in recovery and open about her struggle with FirstLight team members.

·       She will be open to learning from a team of other professionals at FirstLight as she works to develop a ministry for women that is in keeping with FirstLight’s values.

·       The candidate will be willing to work several nights per week and on occasional weekends.


This person will be responsible for the following:

·       Network with area churches and parachurch ministries, particularly with women’s ministry leaders, offering to teach women in classes, small groups, or individually about the Bible’s sexual ethic and walk beside women seeking to align their sexual lives to the biblical pattern.

·       Organize women who desire discipleship into confidential support groups, learn the material FirstLight currently uses to guide such groups, write new devotionals and lessons as appropriate, and facilitate the meetings.

·       Meet individually with women who want one-to-one support, help them access therapy services when appropriate, answer their questions, pray with them, and encourage them.

____________
[1]
Below is a structure of composition C22H60N5O6Pd, with properties calculated with ωB97M-V/def2-TZVPD.

```
94
Properties=species:S:1:pos:R:3:forces:R:3:lowdin_spin:R:1
H 3.3477 -3.7524 -10.3719 -0.30 0.40 -0.06 0.00
C 3.2201 -4.3993 -11.2398 0.39 -0.23 0.63 0.00
C 3.7981 -13.4701 -12.8665 -0.25 1.04 0.34 0.00
H -7.1612 -9.5851 -6.9139 0.00 0.46 -0.40 0.00
H -4.9515 -7.8298 -16.5093 -0.15 -0.59 -0.02 0.00
C 1.1245 -19.4259 -7.5935 -0.22 0.46 -1.65 0.00
H 0.6833 -17.4466 -9.5378 0.05 0.36 -0.44 0.00
C -0.9548 -12.0620 -9.0739 -1.11 0.37 -0.44 0.09
H 4.0691 -14.5065 -12.6655 0.70 0.32 0.00 0.00
H -4.8205 -5.8702 -14.4546 -0.21 0.20 0.45 0.00
H 6.4582 -6.4868 -8.3871 -0.31 -0.02 0.28 0.00
H -6.4899 -4.6221 -15.5566 0.08 0.25 -0.24 0.00
H -6.8306 -8.0212 -14.9695 -0.74 -0.13 0.49 0.00
H -0.7347 -9.9711 -8.4804 0.24 0.27 -0.20 0.01
H -7.2301 -8.6069 -12.2889 -0.08 -1.06 -0.70 0.00
C 3.9843 -6.0726 -9.6415 -0.32 -2.07 1.26 0.00
H -1.2086 -17.6884 -12.6758 -0.12 -0.69 0.28 0.00
C 4.7350 -12.2988 -12.4335 0.38 0.74 0.23 0.00
O 6.8682 -13.3373 -12.5505 -2.01 0.83 0.66 0.00
H -1.2220 -12.3559 -8.0589 0.40 0.36 0.20 0.01
H -8.7548 -9.5520 -4.9658 0.24 -0.75 0.23 0.00
H -8.3363 -10.6398 -7.7697 0.04 -0.16 -0.18 0.00
H -0.8006 -19.2479 -8.4660 -0.43 0.53 -0.47 0.00
N 4.0476 -10.9935 -12.6768 -0.35 -1.25 -0.95 0.00
H 1.0181 -5.2710 -10.7550 -0.83 0.00 0.29 0.00
H -3.8973 -6.6740 -16.4068 0.19 0.31 0.12 0.00
H -10.9711 -10.5205 -6.9367 0.18 0.26 -0.05 0.00
H 4.9613 -12.2730 -11.3676 -0.10 -0.97 0.26 0.00
O -1.0145 -10.0926 -10.5502 0.09 -0.26 0.89 0.81
C -1.3088 -10.4914 -9.2471 0.34 -1.29 -0.70 0.08
C -6.2894 -7.4009 -14.2551 0.64 1.01 -0.52 0.00
H -8.6024 -7.8013 -6.5822 0.24 0.24 -0.11 0.00
C -10.5141 -10.3961 -5.9550 1.76 -0.48 0.34 0.00
C 0.2004 -19.4331 -8.8556 0.49 0.30 0.96 0.00
H 8.6936 -13.9861 -12.1927 0.25 -0.04 -0.27 0.00
H -10.3577 -11.3837 -5.5209 -0.15 -0.12 0.02 0.00
C -6.0839 -5.4553 -16.1301 -1.50 -0.90 1.47 0.00
H -1.6462 -12.6633 -9.6643 0.00 0.23 -0.37 0.00
H 0.4658 -17.3185 -12.3686 0.39 -0.12 -0.25 0.00
H 8.6496 -12.5020 -13.1922 0.06 0.30 0.24 0.00
H -2.3798 -10.3744 -9.0814 -0.10 -0.14 0.24 0.01
H 6.6249 -11.3137 -12.9033 0.01 0.24 0.27 0.00
C -6.5821 -12.3416 -6.5486 -0.30 2.09 -0.80 0.00
C -6.1411 -8.5839 -12.2489 -0.85 2.07 2.21 0.00
H -9.8488 -7.9185 -5.5959 -0.42 0.52 -0.21 0.00
H 2.7845 -6.5228 -11.3914 0.28 -0.25 -0.10 0.00
O -5.4807 -8.2207 -13.4036 0.83 -0.26 -2.39 0.00
H -7.0681 -12.8943 -7.3526 -0.07 0.11 -0.17 0.00
H -5.7774 -11.7058 -6.9177 0.55 -0.55 -0.63 0.00
H -5.4258 -5.1069 -16.9262 0.28 -0.11 0.41 0.00
H 1.2776 -6.4930 -9.6808 -0.64 -0.09 0.18 0.00
H -6.0632 -7.6645 -11.6687 0.14 0.01 1.11 0.00
C 0.6056 -18.4390 -9.9820 -0.35 -0.68 1.13 0.00
C 6.1119 -12.2571 -13.0905 -0.14 -0.88 -0.10 0.00
H 8.1655 -14.0086 -13.9187 0.39 -0.30 -0.15 0.00
H 6.0005 -12.3291 -14.1724 0.07 -0.21 -0.32 0.00
H 1.5097 -18.7999 -10.4724 0.72 0.35 0.62 0.00
H 3.1534 -11.1003 -12.2196 -0.10 0.62 0.10 0.00
____________
The calculated molecules stop here =


The ideal candidate will have advanced training in understanding the Bible and theology, and experience with teaching the Bible in public. Training in pastoral care and counseling is also highly desirable. Candidates who hold a master’s degree in a related ministry field are preferred. Someone who has, or is pursuing, both a master’s in theology or divinity, and a masters in counseling is ideal.


How to Apply

The position pays $20.00-28.00 per hour depending on experience and education.

A small medical reimbursement program is also available for those who are uninsured.


The person in this position will be able to set her own hours. The expectation is that she will work 10-25 hours per week depending on the needs of the women under her care and teaching opportunities.


This woman will report to Rev. David Noble, FirstLight Sexual Discipleship Director, and will receive training from Shari Montague, FirstLight Clinical Director.


Interested candidates may email Executive Director Sean Maney at with a resume and cover letter.

Primary Contact: Sean Maney


Phone: 314-398-3036

Apply Online: View